Type out the part of the block underneath that starts with the line with "0.343 0.367" and stops after the one with "0.780 0.802".
____________
[1]
Na2Y3TaSi2S4O24: optimized geometry, GGA-PBE.

Space group = P1 (1)

a = 9.109 Å, b = 9.112 Å, c = 23.940 Å
α = 90.56°, β = 89.76°, γ = 119.96°
Element x y z (fractional)
Na 0.002 0.975 0.496
Na 0.996 0.956 0.996
Na 0.632 0.324 0.836
Na 0.707 0.345 0.329
Na 0.296 0.648 0.155
Na 0.326 0.646 0.676
Y 0.996 0.997 0.350
Y 0.015 0.002 0.854
Y 0.013 0.018 0.656
Y 0.999 0.000 0.144
Y 0.657 0.335 0.689
Y 0.686 0.342 0.186
Y 0.680 0.345 0.475
Y 0.332 0.675 0.019
Y 0.323 0.668 0.519
Ta 0.668 0.345 0.978
Ta 0.315 0.659 0.314
Ta 0.346 0.668 0.823
Si 0.998 0.292 0.252
Si 0.300 0.316 0.753
Si 0.959 0.629 0.082
Si 0.629 0.666 0.921
Si 0.348 0.969 0.919
Si 0.037 0.670 0.416
S 0.298 0.989 0.253
S 0.687 0.702 0.253
S 0.014 0.703 0.751
S 0.691 0.987 0.753
S 0.959 0.327 0.583
S 0.371 0.040 0.582
S 0.671 0.635 0.583
S 0.671 0.051 0.080
S 0.382 0.328 0.080
S 0.035 0.383 0.916
S 0.617 0.951 0.415
S 0.338 0.384 0.413
O 0.214 0.006 0.303
O 0.797 0.778 0.302
O 0.988 0.191 0.308
O 0.204 0.194 0.804
O 0.979 0.777 0.800
O 0.796 0.012 0.802
O 0.762 0.956 0.701
O 0.194 0.239 0.694
O 0.035 0.804 0.700
O 0.762 0.803 0.202
O 0.032 0.214 0.196
O 0.192 0.950 0.203
O 0.875 0.343 0.634
O 0.469 0.128 0.633
O 0.657 0.534 0.633
O 0.861 0.530 0.137
O 0.652 0.128 0.132
O 0.475 0.336 0.131
O 0.476 0.317 0.028
O 0.837 0.509 0.025
O 0.674 0.151 0.031
O 0.455 0.136 0.532
O 0.683 0.547 0.532
O 0.863 0.318 0.532
O 0.536 0.675 0.975
O 0.132 0.453 0.966
O 0.313 0.853 0.972
O 0.539 0.856 0.466
O 0.326 0.465 0.465
O 0.142 0.678 0.471
O 0.155 0.663 0.361
O 0.516 0.856 0.365
O 0.352 0.493 0.364
O 0.128 0.497 0.866
O 0.365 0.861 0.862
O 0.498 0.634 0.865
O 0.020 0.837 0.413
O 0.789 0.976 0.411
O 0.186 0.216 0.409
O 0.003 0.212 0.906
O 0.196 0.009 0.910
O 0.811 0.821 0.909
O 0.972 0.170 0.585
O 0.197 0.018 0.586
O 0.825 0.804 0.586
O 0.968 0.812 0.080
O 0.832 0.047 0.082
O 0.215 0.172 0.080
O 0.665 0.135 0.746
O 0.494 0.350 0.748
O 0.870 0.527 0.743
O 0.650 0.525 0.247
O 0.845 0.335 0.251
O 0.467 0.137 0.247
O 0.639 0.486 0.926
O 0.868 0.379 0.919
O 0.531 0.152 0.927
O 0.622 0.117 0.416
O 0.492 0.370 0.413
O 0.857 0.492 0.413
O 0.365 0.479 0.077
O 0.141 0.639 0.081
O 0.525 0.877 0.078
O 0.357 0.870 0.581
O 0.517 0.651 0.580
O 0.133 0.477 0.581
O 0.323 0.836 0.262
O 0.521 0.696 0.264
O 0.177 0.490 0.265
O 0.313 0.505 0.765
O 0.172 0.694 0.759
O 0.517 0.831 0.761

***

[2]
Na8Y3TaSi5SO24: optimized geometry, GGA-PBE.

Space group = P1 (1)

a = 9.459 Å, b = 9.442 Å, c = 23.162 Å
α = 89.97°, β = 90.24°, γ = 120.02°
Element x y z (fractional)
Na 0.613 0.998 0.252
Na 0.366 0.349 0.257
Na 0.018 0.651 0.248
Na 0.640 0.622 0.747
Na 0.005 0.368 0.738
Na 0.351 0.006 0.743
Na 0.299 0.343 0.580
Na 0.042 0.701 0.581
Na 0.661 0.959 0.576
Na 0.301 0.956 0.082
Na 0.657 0.701 0.076
Na 0.042 0.342 0.077
Na 0.969 0.677 0.915
Na 0.702 0.023 0.921
Na 0.323 0.295 0.914
Na 0.977 0.305 0.425
Na 0.332 0.026 0.419
Na 0.694 0.672 0.424
Na 0.999 0.001 0.502
Na 0.998 0.998 0.999
Na 0.665 0.347 0.832
Na 0.649 0.318 0.343
Na 0.331 0.681 0.158
Na 0.326 0.661 0.654
Y 0.010 0.001 0.354
Y 0.006 0.998 0.850
Y 0.016 0.005 0.646
Y 0.009 0.997 0.141
Y 0.667 0.340 0.681
Y 0.660 0.327 0.180
Y 0.332 0.666 0.016
Y 0.333 0.668 0.514
Y 0.331 0.674 0.326
Ta 0.665 0.333 0.981
Ta 0.667 0.334 0.485
Ta 0.320 0.656 0.822
Si 0.305 0.997 0.249
Si 0.303 0.311 0.754
Si 0.007 0.696 0.753
Si 0.960 0.331 0.584
Si 0.376 0.040 0.584
Si 0.667 0.631 0.583
Si 0.956 0.622 0.083
Si 0.669 0.041 0.082
Si 0.375 0.335 0.082
Si 0.626 0.661 0.918
Si 0.026 0.367 0.919
Si 0.342 0.967 0.918
Si 0.639 0.980 0.418
Si 0.343 0.367 0.417
Si 0.019 0.656 0.417
S 0.700 0.703 0.249
S 0.002 0.299 0.249
S 0.692 0.989 0.752
O 0.214 0.020 0.305
O 0.797 0.787 0.301
O 0.981 0.199 0.301
O 0.217 0.202 0.810
O 0.971 0.776 0.809
O 0.793 0.014 0.804
O 0.770 0.967 0.700
O 0.185 0.237 0.696
O 0.047 0.814 0.696
O 0.780 0.802 0.197
O 0.014 0.215 0.197
O 0.192 0.975 0.192
O 0.883 0.354 0.643
O 0.475 0.115 0.644
O 0.642 0.530 0.643
O 0.881 0.524 0.143
O 0.644 0.118 0.141
____________
Si 0.343 0.367 0.417
Si 0.019 0.656 0.417
S 0.700 0.703 0.249
S 0.002 0.299 0.249
S 0.692 0.989 0.752
O 0.214 0.020 0.305
O 0.797 0.787 0.301
O 0.981 0.199 0.301
O 0.217 0.202 0.810
O 0.971 0.776 0.809
O 0.793 0.014 0.804
O 0.770 0.967 0.700
O 0.185 0.237 0.696
O 0.047 0.814 0.696
O 0.780 0.802 0.197